┌──
Diffraction record for Nd3ErSn2. The powder diffraction line list is computed, not measured: it uses the PBE geometry in Alexandria and a wavelength of 1.5418 Å.
No peak broadening, texture or thermal motion is included.

Main lines, low angle first (2θ = 10–80°):
(1 1 1), 2θ = 29.12°, intensity 100; (0 0 3), 2θ = 30.76°, intensity 40; (1 1 2), 2θ = 34.23°, intensity 98; (2 0 0), 2θ = 38.88°, intensity 61; (2 0 3), 2θ = 50.37°, intensity 40; (3 1 2), 2θ = 67.43°, intensity 28

Crystal structure
```
Nd3ErSn2
1.0
4.633 0.000 0.000
0.000 4.633 0.000
0.000 0.000 8.721
Nd Er Sn
3 1 2
direct
0.000 0.000 0.000
0.000 0.500 0.651
0.500 0.000 0.349
0.500 0.500 0.000
0.000 0.500 0.276
0.500 0.000 0.724
```

* * * * *

Computed powder diffractogram
Compound: ZnCdAs
Radiation: Cu Ka
Structure: the PBE geometry in Alexandria

Cell and atoms:
a b c (Å): 4.1489 4.1489 4.2820
angles (deg): 90.00 90.00 120.00
Space group P3m1 (No. 156)
Unique sites:
Zn (0.0000, 0.0000, 0.0000) [1 per cell]
Cd (0.3333, 0.6667, 0.4089) [1 per cell]
As (0.6667, 0.3333, 0.8196) [1 per cell]

Principal peaks in the range 10 to 90 degrees two-theta, by angle:
(hkl), 2theta, intensity
1 0 0, 24.8, 4.6
0 1 1, 32.5, 100.0
0 0 2, 42.2, 7.0
1 1 0, 43.6, 41.7
1 0 2, 49.6, 16.8
2 0 1, 55.5, 20.9
1 1 2, 62.3, 12.6
0 2 2, 68.1, 6.2
0 1 3, 71.1, 7.3
1 2 1, 73.1, 17.8
3 0 0, 80.1, 6.6
2 1 2, 84.5, 6.9

* * * * *

No. 1
Structure and calculated powder X-ray diffraction pattern of Os3C9Se2O9 (a cell relaxed with PBE; copper Kα).
Intensities are scaled so that the largest is 100.

Main lines, sorted by position (10° ≤ 2θ ≤ 80°):
2theta, I_rel
12.70, 43.1
13.49, 100.0
14.92, 43.3
15.40, 67.4
16.09, 66.5
16.63, 55.3

Structural model:
Lattice parameters (Å, degrees): 6.6758 9.5038 13.2969 94.27 95.99 110.17
Atoms (fractional coordinates):
Os 0.0660 0.2322 0.3452
Os 0.2181 0.3054 0.1558
Os 0.3926 0.6086 0.2576
Os 0.6074 0.3914 0.7424
Os 0.7819 0.6946 0.8442
Os 0.9340 0.7678 0.6548
C 0.0157 0.8788 0.8898
C 0.0582 0.3080 0.4784
C 0.1368 0.0619 0.3796
C 0.2150 0.4133 0.0415
C 0.2332 0.8869 0.6838
C 0.3086 0.7374 0.1714
C 0.3160 0.3051 0.7668
C 0.4240 0.2266 0.1120
C 0.4298 0.7292 0.3816
C 0.5702 0.2708 0.6184
C 0.5760 0.7734 0.8880
C 0.6840 0.6949 0.2332
C 0.6914 0.2626 0.8286
C 0.7668 0.1131 0.3162
C 0.7850 0.5867 0.9585
C 0.8632 0.9381 0.6204
C 0.9418 0.6920 0.5216
C 0.9843 0.1212 0.1102
Se 0.0013 0.4382 0.2508
Se 0.4530 0.3855 0.3300
Se 0.5470 0.6145 0.6700
Se 0.9987 0.5618 0.7492
O 0.0619 0.3609 0.5607
O 0.1393 0.2471 0.7814
O 0.1560 0.9913 0.9204
O 0.1730 0.9565 0.4018
O 0.2095 0.4770 0.9703
O 0.2592 0.8154 0.1189
O 0.4158 0.9589 0.7018
O 0.4485 0.8203 0.9144
O 0.4554 0.7971 0.4614
O 0.5446 0.2029 0.5386
O 0.5515 0.1797 0.0856
O 0.5842 0.0411 0.2982
O 0.7408 0.1846 0.8811
O 0.7905 0.5230 0.0297
O 0.8270 0.0435 0.5982
O 0.8440 0.0087 0.0796
O 0.8607 0.7529 0.2186
O 0.9381 0.6391 0.4393

No. 2
Structure and calculated powder X-ray diffraction pattern of Li5NbRe (a cell relaxed with PBE; copper Kα).
Intensities are scaled so that the largest is 100.

Main lines, sorted by position (10° ≤ 2θ ≤ 80°):
2theta, I_rel
17.49, 100.0
20.20, 45.5
33.82, 19.8
35.40, 14.2
36.19, 21.9
42.56, 23.4

Structural model:
Lattice parameters (Å, degrees): 4.6780 8.7934 6.2089 90.00 90.00 90.00
Atoms (fractional coordinates):
Li 0.0000 0.0000 0.0000
Li 0.0000 0.2528 0.8942
Li 0.0000 0.7472 0.8942
Li 0.2287 0.5000 0.7822
Li 0.2713 0.0000 0.2822
Li 0.5000 0.2472 0.3942
Li 0.5000 0.5000 0.5000
Li 0.5000 0.7528 0.3942
Li 0.7287 0.0000 0.2822
Li 0.7713 0.5000 0.7822
Nb 0.0000 0.5000 0.2349
Nb 0.5000 0.0000 0.7349
Re 0.0000 0.0000 0.6229
Re 0.5000 0.5000 0.1229

No. 3
Structure and calculated powder X-ray diffraction pattern of Li2ErCuAs2 (a cell relaxed with PBE; copper Kα).
Intensities are scaled so that the largest is 100.

Main lines, sorted by position (10° ≤ 2θ ≤ 80°):
2theta, I_rel
24.57, 33.9
28.16, 54.9
37.04, 100.0
43.24, 52.4
58.22, 26.4
75.22, 24.4

Structural model:
└──
Transcribe the entries further up word for word.
Diffraction record for Nd3ErSn2. The powder diffraction line list is computed, not measured: it uses the PBE geometry in Alexandria and a wavelength of 1.5418 Å.
No peak broadening, texture or thermal motion is included.

Main lines, low angle first (2θ = 10–80°):
(1 1 1), 2θ = 29.12°, intensity 100; (0 0 3), 2θ = 30.76°, intensity 40; (1 1 2), 2θ = 34.23°, intensity 98; (2 0 0), 2θ = 38.88°, intensity 61; (2 0 3), 2θ = 50.37°, intensity 40; (3 1 2), 2θ = 67.43°, intensity 28

Crystal structure
```
Nd3ErSn2
1.0
4.633 0.000 0.000
0.000 4.633 0.000
0.000 0.000 8.721
Nd Er Sn
3 1 2
direct
0.000 0.000 0.000
0.000 0.500 0.651
0.500 0.000 0.349
0.500 0.500 0.000
0.000 0.500 0.276
0.500 0.000 0.724
```

* * * * *

Computed powder diffractogram
Compound: ZnCdAs
Radiation: Cu Ka
Structure: the PBE geometry in Alexandria

Cell and atoms:
a b c (Å): 4.1489 4.1489 4.2820
angles (deg): 90.00 90.00 120.00
Space group P3m1 (No. 156)
Unique sites:
Zn (0.0000, 0.0000, 0.0000) [1 per cell]
Cd (0.3333, 0.6667, 0.4089) [1 per cell]
As (0.6667, 0.3333, 0.8196) [1 per cell]

Principal peaks in the range 10 to 90 degrees two-theta, by angle:
(hkl), 2theta, intensity
1 0 0, 24.8, 4.6
0 1 1, 32.5, 100.0
0 0 2, 42.2, 7.0
1 1 0, 43.6, 41.7
1 0 2, 49.6, 16.8
2 0 1, 55.5, 20.9
1 1 2, 62.3, 12.6
0 2 2, 68.1, 6.2
0 1 3, 71.1, 7.3
1 2 1, 73.1, 17.8
3 0 0, 80.1, 6.6
2 1 2, 84.5, 6.9

* * * * *

No. 1
Structure and calculated powder X-ray diffraction pattern of Os3C9Se2O9 (a cell relaxed with PBE; copper Kα).
Intensities are scaled so that the largest is 100.

Main lines, sorted by position (10° ≤ 2θ ≤ 80°):
2theta, I_rel
12.70, 43.1
13.49, 100.0
14.92, 43.3
15.40, 67.4
16.09, 66.5
16.63, 55.3

Structural model:
Lattice parameters (Å, degrees): 6.6758 9.5038 13.2969 94.27 95.99 110.17
Atoms (fractional coordinates):
Os 0.0660 0.2322 0.3452
Os 0.2181 0.3054 0.1558
Os 0.3926 0.6086 0.2576
Os 0.6074 0.3914 0.7424
Os 0.7819 0.6946 0.8442
Os 0.9340 0.7678 0.6548
C 0.0157 0.8788 0.8898
C 0.0582 0.3080 0.4784
C 0.1368 0.0619 0.3796
C 0.2150 0.4133 0.0415
C 0.2332 0.8869 0.6838
C 0.3086 0.7374 0.1714
C 0.3160 0.3051 0.7668
C 0.4240 0.2266 0.1120
C 0.4298 0.7292 0.3816
C 0.5702 0.2708 0.6184
C 0.5760 0.7734 0.8880
C 0.6840 0.6949 0.2332
C 0.6914 0.2626 0.8286
C 0.7668 0.1131 0.3162
C 0.7850 0.5867 0.9585
C 0.8632 0.9381 0.6204
C 0.9418 0.6920 0.5216
C 0.9843 0.1212 0.1102
Se 0.0013 0.4382 0.2508
Se 0.4530 0.3855 0.3300
Se 0.5470 0.6145 0.6700
Se 0.9987 0.5618 0.7492
O 0.0619 0.3609 0.5607
O 0.1393 0.2471 0.7814
O 0.1560 0.9913 0.9204
O 0.1730 0.9565 0.4018
O 0.2095 0.4770 0.9703
O 0.2592 0.8154 0.1189
O 0.4158 0.9589 0.7018
O 0.4485 0.8203 0.9144
O 0.4554 0.7971 0.4614
O 0.5446 0.2029 0.5386
O 0.5515 0.1797 0.0856
O 0.5842 0.0411 0.2982
O 0.7408 0.1846 0.8811
O 0.7905 0.5230 0.0297
O 0.8270 0.0435 0.5982
O 0.8440 0.0087 0.0796
O 0.8607 0.7529 0.2186
O 0.9381 0.6391 0.4393

No. 2
Structure and calculated powder X-ray diffraction pattern of Li5NbRe (a cell relaxed with PBE; copper Kα).
Intensities are scaled so that the largest is 100.

Main lines, sorted by position (10° ≤ 2θ ≤ 80°):
2theta, I_rel
17.49, 100.0
20.20, 45.5
33.82, 19.8
35.40, 14.2
36.19, 21.9
42.56, 23.4

Structural model:
Lattice parameters (Å, degrees): 4.6780 8.7934 6.2089 90.00 90.00 90.00
Atoms (fractional coordinates):
Li 0.0000 0.0000 0.0000
Li 0.0000 0.2528 0.8942
Li 0.0000 0.7472 0.8942
Li 0.2287 0.5000 0.7822
Li 0.2713 0.0000 0.2822
Li 0.5000 0.2472 0.3942
Li 0.5000 0.5000 0.5000
Li 0.5000 0.7528 0.3942
Li 0.7287 0.0000 0.2822
Li 0.7713 0.5000 0.7822
Nb 0.0000 0.5000 0.2349
Nb 0.5000 0.0000 0.7349
Re 0.0000 0.0000 0.6229
Re 0.5000 0.5000 0.1229

No. 3
Structure and calculated powder X-ray diffraction pattern of Li2ErCuAs2 (a cell relaxed with PBE; copper Kα).
Intensities are scaled so that the largest is 100.

Main lines, sorted by position (10° ≤ 2θ ≤ 80°):
2theta, I_rel
24.57, 33.9
28.16, 54.9
37.04, 100.0
43.24, 52.4
58.22, 26.4
75.22, 24.4

Structural model: